Melting icebergs fertilize ocean

Release of extra iron boosts carbon dioxide uptake by plankton

Efforts to remove climate-warming carbon dioxide from Earth’s atmosphere appear to be getting a helping hand from a surprising source: the iron in meltwater from Antarctic icebergs.

Attached: records of crystals.
[1]
Entry from Alexandria: a relaxed TaRe2TcSe crystal (PBE).

```
5
Lattice="4.749 0.000 0.000 0.000 4.749 0.000 0.000 0.000 4.747" Properties=species:S:1:pos:R:3 pbc="T T T"
Re 0.000 2.374 0.000
Re 2.374 0.000 0.000
Tc 2.374 2.374 2.373
Se 0.000 0.000 2.373
Ta 0.000 0.000 0.000
```

Results
- formation energy (no corrections) (eV per atom) = 2.325
- calculated density (g cm⁻³) = 11.3
- uncorrected energy (eV/atom) = -7.79
- magnetization (μB per cell) = 0.664
- space group = P4/mmm, No. 123



[2]
Entry from Alexandria: a relaxed TbRe4Se7 crystal (PBE).

```
24
Lattice="6.357 0.546 0.000 0.644 4.836 0.000 0.000 0.000 17.204" Properties=species:S:1:pos:R:3 pbc="T T T"
Tb 2.339 3.833 8.602
Tb 1.578 1.158 0.000
Re 4.947 3.370 14.715
Re 0.705 3.269 4.079
Re 2.947 1.805 4.505
Re 0.919 1.702 11.102
Re 0.919 1.702 6.102
Re 4.947 3.370 2.490
Re 0.705 3.269 13.125
Re 2.947 1.805 12.699
Se 0.821 3.479 1.560
Se 3.221 1.381 6.995
Se 3.672 1.167 15.122
Se 6.847 4.701 10.750
Se 6.847 4.701 6.454
Se 3.672 1.167 2.082
Se 3.126 4.197 13.101
Se 5.542 1.695 12.904
Se 5.542 1.695 4.300
Se 3.126 4.197 4.103
Se 3.830 3.563 0.000
Se 6.385 2.129 8.602
Se 0.821 3.479 15.644
Se 3.221 1.381 10.209
```

Results
- formation energy (no corrections) (eV per atom) = -0.124
- calculated density (g cm⁻³) = 9.3
- uncorrected energy (eV/atom) = -6.69
- magnetization (μB per cell) = 0.000
- space group = Pm, No. 6



Question: The highest uncorrected energy belongs to which entry?
Answer: TbRe4Se7

----------

[1]
TcNi2Bi: optimized geometry, PBE.

```
4
Lattice="0.000 3.119 3.119 3.119 0.000 3.119 3.119 3.119 0.000" Properties=species:S:1:pos:R:3 pbc="T T T"
Tc 0.000 0.000 0.000
Ni 1.559 1.559 1.559
Ni 3.119 3.119 3.119
Bi 4.678 4.678 4.678
```

Magnetization   0.905 Bohr magnetons per cell
Calculated total energy   -0.43820 Ry/atom
Calculated volume   60.7 Å³/f.u.
Space-group type   F-43m


[2]
TcNiBi: optimized geometry, PBE.

```
3
Lattice="0.000 3.074 3.074 3.074 0.000 3.074 3.074 3.074 0.000" Properties=species:S:1:pos:R:3 pbc="T T T"
Tc 0.000 0.000 0.000
Ni 4.610 4.610 4.610
Bi 3.074 3.074 3.074
```

Magnetization   3.418 Bohr magnetons per cell
Calculated total energy   -0.44774 Ry/atom
Calculated volume   58.1 Å³/f.u.
Space-group type   F-43m
Relative energy among the computed polymorphs   0 meV per atom

CASTING IRON In iron-poor Antarctic waters, meltwater from icebergs is fertilizing the seas with the metal, fueling a proliferation of sea life — and removing carbon dioxide from the atmosphere. Debbie Nail Meyer © 2009 MBARI

Icebergs calving off of Antarctica are shedding substantial iron — the equivalent of a growth-boosting vitamin — into waters starved of the mineral, a new set of studies demonstrates. This iron is fertilizing the growth of microscopic plants and algae, transforming the waters adjacent to ice floes into teeming communities of everything from tiny shrimplike krill to fish, birds and sometimes mammals.

To grow, these plants and animals use carbon drawn into the water from carbon dioxide in the atmosphere. Some share of this carbon will eventually be excreted as wastes that fall to the ocean floor, essentially removing it as a near-term climate risk.

“Icebergs should be considered by climate modelers, because the more icebergs that develop [from the breakup of glaciers], the more carbon dioxide you’ll draw out of the atmosphere,” says Ken Smith of the Monterey Bay Aquarium Research Institute in Moss Landing, Calif.

Smith and colleagues first fingered icebergs as hotspots of biological and chemical activity in a 2007 study published in Science. New data from Antarctic cruises in 2008 and 2009 by Smith and other scientists from nine research institutions now appear as 20 papers in the June Deep Sea Research Part II

Researchers refer to icebergs’ carbon removal as an export. “And the amount of carbon being exported near icebergs is twice as high as in areas away from them,” Smith says.

Counterbalancing icebergs’ carbon removal: No one views the sea-level rise accompanying massive ice melting as a good thing. The rate of iceberg calving — and ice loss — in recent years has increased there, as elsewhere, in response to warming of Earth’s atmosphere.

Prior to the new studies, “we didn’t know the nature of the biological communities associated with icebergs and we certainly didn’t know their direct relationship to carbon exports,” says chemist Timothy Shaw of the University of South Carolina in Columbia, who coauthored several of the new reports.

One surprise: The proliferation of phytoplankton — tiny plants at the base of the marine food chain — that were witnessed in the waters around ice floes “could only account for about half of the increased carbon export we measured,” Shaw says. His team now attributes the other half to changes in the chemistry of iron and carbon use by phytoplankton living next to and under the icebergs.

Benjamin Twining of the Bigelow Laboratory for Ocean Sciences in West Boothbay Harbor, Maine, points to another big surprise: Icebergs’ iron enrichment of southern waters could vary by a factor of 100 from one iceberg to another, or even along walls of a given berg. This patchy enrichment reflects differences in chemical reactions triggered by various organisms and to the unexpectedly complicated turbulence associated with water melting from the floes.

Janet Raloff is the Editor, Digital of Science News Explores, a daily online magazine for middle school students. She started at Science News in 1977 as the environment and policy writer, specializing in toxicology. To her never-ending surprise, her daughter became a toxicologist.